Multi-Round Influence Maximization: A Variable Neighborhood Search Approach


The study of Social Network Influence has attracted the interest of scientists. The wide variety of real-world applications of this area, such as viral marketing and disease analysis, highlights the relevance of designing an algorithm capable of solving the problem efficiently. This paper studies the Multiple Round Influence Maximization (MRIM) problem, in which influence is propagated in multiple rounds independently from possibly different seed sets. This problem has two variants: the non-adaptive MRIM, in which the advertiser needs to determine the seed sets for all rounds at the beginning, and the adaptive MRIM, in which the advertiser can select the seed sets adaptively based on the propagation results in the previous rounds. The main difficulty of this optimization problem lies in the computational effort required to evaluate a solution. Since each node is infected with a certain probability, the value of the objective function must be calculated through an influence diffusion model, which results in a computationally complex process. For this purpose, a metaheuristic algorithm based on Variable Neighborhood Search is proposed with the aim of providing high-quality solutions, being competitive with the state of the art.

Variable Neighborhood Search
Isaac Lozano-Osorio
Isaac Lozano-Osorio
Phd in Artificial Intelligence

Isaac Lozano graduated with a double degree in Computer Engineering and Computer Engineering from the Universidad Rey Juan Carlos, where he was awarded the prize for the Best Final Project. Subsequently, he completed a Master in Artificial Intelligence Research (UIMP). His main research interests are focused on the interface between Computer Science, Artificial Intelligence and Operations Research. Most of his publications deal with the development of metaheuristic procedures for graph modeled optimization problems.

Jesús Sánchez-Oro
Jesús Sánchez-Oro
Associate Professor

Associate Professor at the Computer Science Department, being one of the senior researchers of the Group for Research on Algorithms For Optimization GRAFO.

Abraham Duarte
Abraham Duarte
Full Professor

Quantum chemistry results that have nothing to do with the entry =
<<<
1.
The following is a DFT calculation (the ωB97M-V functional and the def2-TZVPD basis) of an isolated molecule of C2H3N3O at a distorted geometry.

Values from the calculation:
- frontier orbital gap (eV) = 8.916
- lowest unoccupied orbital energy (Eh) = -0.023

ORCA input file:
```
! RIJCOSX wB97M-V def2-TZVPD def2/J DEFGRID3
* xyz 0 1
O -1.7558 1.3499 -0.1726
C -0.6856 0.7423 -0.1016
N 0.5890 0.9958 0.1131
C 1.2616 -1.0272 -0.0038
N 0.1898 -1.5714 -0.1136
N -0.9925 -0.6560 -0.3525
H 0.7546 2.0067 0.2258
H 2.3382 -0.9413 0.0600
H -1.6993 -0.8988 0.3451
*
```



2.
The following is a DFT calculation (the ωB97M-V functional and the def2-TZVPD basis) of a structure of composition C47H43AuF9N3P.

Values from the calculation:
- frontier orbital gap (eV) = 6.479
- lowest unoccupied orbital energy (Eh) = 0.083

ORCA input file:
```
! RIJCOSX wB97M-V def2-TZVPD def2/J DEFGRID3
* xyz -1 1
Au -0.6207 -1.5657 -1.8011
C 0.4176 -0.5688 5.6451
C 1.5213 -1.4762 5.1780
C 2.5418 -1.8703 6.0323
C 3.5602 -2.7156 5.6133
C 3.5450 -3.1958 4.3129
C 2.5301 -2.8289 3.4429
C 1.5251 -1.9544 3.8585
N 0.4916 -1.5601 3.0072
C 0.4482 -1.6515 1.5973
N 1.6195 -1.2619 1.0185
C 2.1842 -1.2992 -0.3009
C 1.4590 -1.5225 -1.4828
C 2.2504 -1.5683 -2.6476
C 3.6189 -1.3570 -2.6703
C 4.2774 -1.0822 -1.4818
C 3.5764 -1.0569 -0.2878
C 4.3360 -0.7570 0.9855
N -0.6140 -1.9974 0.9913
C -1.6960 -2.5180 1.7089
C -1.6457 -3.8236 2.2077
C -2.7323 -4.3802 2.8593
C -3.8958 -3.6386 3.0238
C -3.9476 -2.3436 2.5319
C -2.8662 -1.7645 1.8723
C -2.9338 -0.3465 1.3743
H 0.6140 -0.2147 6.6561
H -0.5475 -1.0849 5.6582
H 0.3110 0.2986 4.9900
H 2.5415 -1.4921 7.0485
H 4.3488 -2.9999 6.2974
H 4.3175 -3.8730 3.9708
H 2.5054 -3.2280 2.4366
H -0.4156 -1.4332 3.4248
H 2.2935 -0.9926 1.7147
H 1.7491 -1.7552 -3.5909
H 4.1662 -1.3764 -3.6065
H 5.3443 -0.8850 -1.4752
H 5.3848 -0.5731 0.7553
H 4.2998 -1.5828 1.7023
H 3.9575 0.1371 1.4955
H -0.7376 -4.3961 2.0589
H -2.6764 -5.3987 3.2240
H -4.7538 -4.0682 3.5255
H -4.8534 -1.7578 2.6499
H -3.9254 -0.1171 0.9808
H -2.1961 -0.1905 0.5874
H -2.7234 0.3662 2.1785
C -2.8133 -4.1661 -1.6041
C -3.0490 -3.1918 -2.7561
C -4.5170 -3.2605 -3.1880
C -2.6382 -1.7599 -2.3784
H -3.1061 -5.1875 -1.8701
H -3.4008 -3.8618 -0.7305
H -1.7622 -4.1688 -1.3099
H -2.4340 -3.5128 -3.6049
H -5.1650 -2.9933 -2.3462
H -4.8013 -4.2631 -3.5264
H -4.7185 -2.5566 -3.9997
H -3.3185 -1.4455 -1.5647
H -2.8866 -1.1104 -3.2300
F -0.2592 6.2315 3.5873
C 0.5346 5.1466 3.6138
F 0.2752 4.4971 4.7648
F 1.8022 5.6013 3.7147
C 0.3497 4.2667 2.4150
C -0.1965 4.7729 1.2467
C -0.3270 3.9569 0.1310
C 0.0816 2.6271 0.1626
C 0.6152 2.1341 1.3593
C 0.7657 2.9435 2.4724
P -0.1300 1.3212 -1.1590
C -1.4079 2.1453 -2.2080
C -2.6908 1.6120 -2.1426
C -3.7496 2.2170 -2.8089
C -3.5227 3.3589 -3.5582
C -2.2400 3.8865 -3.6635
C -1.1935 3.2797 -2.9942
C -4.6452 4.0353 -4.2865
F -4.5840 5.3780 -4.1639
F -5.8541 3.6571 -3.8430
F -4.6211 3.7801 -5.6121
C 1.3798 1.6535 -2.1540
C 2.5830 2.0066 -1.5460
C 3.7359 2.1619 -2.2945
>>>
The entry goes on =

Abraham Duarte is Full Professor in the Computer Science Department at the Rey Juan Carlos University (Madrid, Spain). He has done extensive research in the interface between computer science, artificial intelligence, and operations research to develop solution methods based on Computational Intelligence (metaheuristics) for practical problems in operations-management areas such as logistics and supply chains, telecommunications, decision-making under uncertainty and optimization of simulated systems.